_Input_
┌──
73
Properties=species:S:1:pos:R:3 method="wB97M-V/def2-TZVPD" homo_ev=-8.589
C 1.07027 -2.98495 1.26981
P 2.17322 -1.50834 1.32436
C 0.95896 -0.19363 1.75785
C 3.06544 -1.82065 2.89601
C 3.88564 -2.95398 2.92497
C 4.64381 -3.26507 4.05047
N 5.44563 -4.44746 4.06257
C 6.56587 -4.38892 3.61154
S 7.99279 -4.33297 3.01400
C 4.56959 -2.43499 5.17468
C 3.75010 -1.30456 5.14589
C 3.00927 -0.98562 4.01277
C 3.71352 -0.44275 6.35315
O 3.60316 0.75086 6.28058
C 3.88548 -1.16473 7.63481
C 4.66942 -2.23934 7.66214
C 5.33689 -2.70467 6.42640
O 6.42660 -3.20815 6.43773
H 0.69434 -3.24646 2.25519
H 1.60617 -3.83112 0.85656
H 0.22800 -2.76615 0.62280
H 0.79099 -0.10783 2.82839
H 1.30886 0.75538 1.36929
H 0.00472 -0.43157 1.29992
H 3.95827 -3.60154 2.06271
H 2.40973 -0.09119 4.01416
H 3.40571 -0.79302 8.52346
H 4.84432 -2.76996 8.58338
C -5.24086 0.13675 -2.93310
C -5.12790 -1.00990 -1.95219
O -3.98538 -0.86882 -1.09311
C -4.13167 -0.01177 -0.08570
O -5.12917 0.59985 0.19277
O -2.98635 0.01598 0.60023
C -2.98374 0.91701 1.70904
H -4.31509 0.24645 -3.49922
H -6.05912 -0.03990 -3.63129
H -5.42934 1.07757 -2.41796
H -4.96845 -1.94706 -2.48206
H -6.03011 -1.11450 -1.35018
H -3.82598 0.73226 2.37165
H -3.00425 1.94794 1.35916
H -2.05627 0.73946 2.24643
C 5.49734 1.15199 3.24945
C 5.78361 0.39943 1.96864
O 4.97222 0.87366 0.88247
C 5.38069 2.00630 0.31672
O 6.37562 2.62426 0.59314
O 4.51584 2.31942 -0.65086
C 4.81717 3.53620 -1.33640
H 4.43232 1.11350 3.48116
H 6.04984 0.71034 4.07935
H 5.78202 2.20020 3.16805
H 5.51832 -0.65154 2.08079
H 6.83702 0.45210 1.69478
H 5.83813 3.53044 -1.71089
H 4.66883 4.38851 -0.67506
H 4.12311 3.59724 -2.16959
C -6.42672 3.27662 -9.35132
C -5.68447 2.29897 -8.46590
O -6.36431 2.08693 -7.21916
C -7.40896 1.26340 -7.27198
O -7.79611 0.66438 -8.24098
O -7.93839 1.19033 -6.04928
C -9.10622 0.37020 -5.96290
H -6.60600 4.21116 -8.81838
H -5.84406 3.48988 -10.24724
H -7.39137 2.87379 -9.65663
H -4.71088 2.70017 -8.19126
H -5.52637 1.34397 -8.96604
H -8.91925 -0.61956 -6.37292
H -9.93649 0.84023 -6.48725
H -9.34427 0.28896 -4.90621



66
Properties=species:S:1:pos:R:3 method="wB97M-V/def2-TZVPD" total_charge=-2 homo_ev=-0.424
Tl 0.11709 0.01706 -0.24851
N 1.29584 -0.61715 2.61085
C 0.05226 -0.66736 3.08813
C -0.48749 0.22837 4.06711
C -1.74410 0.06515 4.60866
C -2.57941 -0.97834 4.20884
C -2.11373 -1.82491 3.20203
C -0.86182 -1.69387 2.63143
C -0.46198 -2.59984 1.51699
C -0.56777 -3.97593 1.73166
C -0.24179 -4.89599 0.74516
C 0.20924 -4.44440 -0.48115
C 0.32436 -3.07397 -0.70382
C 0.00429 -2.13038 0.26549
H 1.77993 0.20695 2.95822
H 2.21934 -1.86953 2.68297
H 0.14642 1.04038 4.40975
H -2.08898 0.77153 5.35986
H -3.57392 -1.09481 4.62313
H -2.76364 -2.61008 2.82382
H -0.89159 -4.32384 2.70752
H -0.31994 -5.96046 0.94454
H 0.48114 -5.15011 -1.25936
H 0.67798 -2.73488 -1.67155
C 1.44213 1.39537 -3.66273
Si -0.04252 0.56496 -2.81635
C -0.65971 -0.71129 -4.09927
C -1.38458 1.94521 -2.82988
C -1.79743 2.45090 -4.06957
C -2.73912 3.45983 -4.18282
C -3.29915 3.99710 -3.03033
C -2.90491 3.51036 -1.79583
C -1.95470 2.48880 -1.65969
Si -1.53061 1.92619 0.13425
C -0.82991 3.44972 1.00073
C -3.20973 1.56829 0.92438
H 1.18891 1.79067 -4.65129
H 2.26155 0.68217 -3.77945
H 1.80944 2.21215 -3.04153
H -0.76662 -0.28761 -5.10192
H -1.62622 -1.12146 -3.80025
H 0.04414 -1.54407 -4.15552
H -1.36327 2.04261 -4.97748
H -3.03441 3.82822 -5.16032
H -4.03783 4.78939 -3.09684
H -3.35103 3.93797 -0.90332
H -1.49131 4.31727 0.91551
H 0.14453 3.70340 0.58312
H -0.68751 3.21833 2.05800
H -3.86347 2.44456 0.90258
H -3.07665 1.25158 1.95930
H -3.71323 0.75421 0.39972
C 3.56689 -1.31704 -0.49709
As 3.62619 0.43065 0.41615
C 3.15183 -2.54524 3.48201
C 4.52520 1.34312 -1.12088
O 2.03805 1.07266 0.16066
H 4.59039 -1.62196 -0.73368
H 2.98123 -1.25320 -1.41679
H 3.11929 -2.06620 0.15630
H 3.87100 -2.83683 2.71227
H 2.65288 -3.43999 3.86488
H 3.68994 -2.07207 4.30505
H 5.52330 0.93305 -1.30045
H 4.61721 2.40845 -0.90610
H 3.90804 1.21619 -2.00729



88
└──
_Request_
Your job: return only the last part of the notes above, starting with the line that has "3.61154".
_Here it is_
C 6.56587 -4.38892 3.61154
S 7.99279 -4.33297 3.01400
C 4.56959 -2.43499 5.17468
C 3.75010 -1.30456 5.14589
C 3.00927 -0.98562 4.01277
C 3.71352 -0.44275 6.35315
O 3.60316 0.75086 6.28058
C 3.88548 -1.16473 7.63481
C 4.66942 -2.23934 7.66214
C 5.33689 -2.70467 6.42640
O 6.42660 -3.20815 6.43773
H 0.69434 -3.24646 2.25519
H 1.60617 -3.83112 0.85656
H 0.22800 -2.76615 0.62280
H 0.79099 -0.10783 2.82839
H 1.30886 0.75538 1.36929
H 0.00472 -0.43157 1.29992
H 3.95827 -3.60154 2.06271
H 2.40973 -0.09119 4.01416
H 3.40571 -0.79302 8.52346
H 4.84432 -2.76996 8.58338
C -5.24086 0.13675 -2.93310
C -5.12790 -1.00990 -1.95219
O -3.98538 -0.86882 -1.09311
C -4.13167 -0.01177 -0.08570
O -5.12917 0.59985 0.19277
O -2.98635 0.01598 0.60023
C -2.98374 0.91701 1.70904
H -4.31509 0.24645 -3.49922
H -6.05912 -0.03990 -3.63129
H -5.42934 1.07757 -2.41796
H -4.96845 -1.94706 -2.48206
H -6.03011 -1.11450 -1.35018
H -3.82598 0.73226 2.37165
H -3.00425 1.94794 1.35916
H -2.05627 0.73946 2.24643
C 5.49734 1.15199 3.24945
C 5.78361 0.39943 1.96864
O 4.97222 0.87366 0.88247
C 5.38069 2.00630 0.31672
O 6.37562 2.62426 0.59314
O 4.51584 2.31942 -0.65086
C 4.81717 3.53620 -1.33640
H 4.43232 1.11350 3.48116
H 6.04984 0.71034 4.07935
H 5.78202 2.20020 3.16805
H 5.51832 -0.65154 2.08079
H 6.83702 0.45210 1.69478
H 5.83813 3.53044 -1.71089
H 4.66883 4.38851 -0.67506
H 4.12311 3.59724 -2.16959
C -6.42672 3.27662 -9.35132
C -5.68447 2.29897 -8.46590
O -6.36431 2.08693 -7.21916
C -7.40896 1.26340 -7.27198
O -7.79611 0.66438 -8.24098
O -7.93839 1.19033 -6.04928
C -9.10622 0.37020 -5.96290
H -6.60600 4.21116 -8.81838
H -5.84406 3.48988 -10.24724
H -7.39137 2.87379 -9.65663
H -4.71088 2.70017 -8.19126
H -5.52637 1.34397 -8.96604
H -8.91925 -0.61956 -6.37292
H -9.93649 0.84023 -6.48725
H -9.34427 0.28896 -4.90621



66
Properties=species:S:1:pos:R:3 method="wB97M-V/def2-TZVPD" total_charge=-2 homo_ev=-0.424
Tl 0.11709 0.01706 -0.24851
N 1.29584 -0.61715 2.61085
C 0.05226 -0.66736 3.08813
C -0.48749 0.22837 4.06711
C -1.74410 0.06515 4.60866
C -2.57941 -0.97834 4.20884
C -2.11373 -1.82491 3.20203
C -0.86182 -1.69387 2.63143
C -0.46198 -2.59984 1.51699
C -0.56777 -3.97593 1.73166
C -0.24179 -4.89599 0.74516
C 0.20924 -4.44440 -0.48115
C 0.32436 -3.07397 -0.70382
C 0.00429 -2.13038 0.26549
H 1.77993 0.20695 2.95822
H 2.21934 -1.86953 2.68297
H 0.14642 1.04038 4.40975
H -2.08898 0.77153 5.35986
H -3.57392 -1.09481 4.62313
H -2.76364 -2.61008 2.82382
H -0.89159 -4.32384 2.70752
H -0.31994 -5.96046 0.94454
H 0.48114 -5.15011 -1.25936
H 0.67798 -2.73488 -1.67155
C 1.44213 1.39537 -3.66273
Si -0.04252 0.56496 -2.81635
C -0.65971 -0.71129 -4.09927
C -1.38458 1.94521 -2.82988
C -1.79743 2.45090 -4.06957
C -2.73912 3.45983 -4.18282
C -3.29915 3.99710 -3.03033
C -2.90491 3.51036 -1.79583
C -1.95470 2.48880 -1.65969
Si -1.53061 1.92619 0.13425
C -0.82991 3.44972 1.00073
C -3.20973 1.56829 0.92438
H 1.18891 1.79067 -4.65129
H 2.26155 0.68217 -3.77945
H 1.80944 2.21215 -3.04153
H -0.76662 -0.28761 -5.10192
H -1.62622 -1.12146 -3.80025
H 0.04414 -1.54407 -4.15552
H -1.36327 2.04261 -4.97748
H -3.03441 3.82822 -5.16032
H -4.03783 4.78939 -3.09684
H -3.35103 3.93797 -0.90332
H -1.49131 4.31727 0.91551
H 0.14453 3.70340 0.58312
H -0.68751 3.21833 2.05800
H -3.86347 2.44456 0.90258
H -3.07665 1.25158 1.95930
H -3.71323 0.75421 0.39972
C 3.56689 -1.31704 -0.49709
As 3.62619 0.43065 0.41615
C 3.15183 -2.54524 3.48201
C 4.52520 1.34312 -1.12088
O 2.03805 1.07266 0.16066
H 4.59039 -1.62196 -0.73368
H 2.98123 -1.25320 -1.41679
H 3.11929 -2.06620 0.15630
H 3.87100 -2.83683 2.71227
H 2.65288 -3.43999 3.86488
H 3.68994 -2.07207 4.30505
H 5.52330 0.93305 -1.30045
H 4.61721 2.40845 -0.90610
H 3.90804 1.21619 -2.00729



88